Into the Wild by Jon Krakauer: Solo Travel Warnings

The Main Purpose of Into the Wild by Jon Krakauer

Into the Wild by Jon Krakauer is an excellent book demonstrating the dangers of doing everything on your own. It impacted my solo travel life greatly. 


What Into the Wild by Jon Krakauer is About

This book is almost 20 years old and still very impactful today. Published in 1996, the book tells the story of Christopher McCandless, a young man who hiked into the wilderness of Alaska in 1992 with minimal gear and provisions and lived off the land for several months before eventually dying of starvation.

Much more about the book in a second, but first how the book affected my life.


The Book Into the Wild’s Impact on Me

Crystal structures that have nothing to do with the entry:
~~~
The following is a DFT calculation (GGA-PBE) of a relaxed structure of LaSiI.

Cell: 4.2161 4.2161 12.1648 Å, 90.00 90.00 120.00°
Space group P-3m1 (No. 164)
Symmetry-distinct sites (fractional):
La1 0.0000 0.0000 0.1705 (multiplicity 2)
Si1 0.3333 0.6667 0.0067 (multiplicity 2)
I1 0.3333 0.6667 0.6493 (multiplicity 2)

***

The following is a DFT calculation (GGA-PBE) of a relaxed structure of La4Si4I3.

Cell: 24.626 4.262 12.678 Å, 90.00 97.63 90.00°
Space group C2/m (No. 12)
Symmetry-distinct sites (fractional):
La1 0.003 0.000 0.165 (multiplicity 4)
La2 0.074 0.500 0.446 (multiplicity 4)
La3 0.138 0.000 0.709 (multiplicity 4)
La4 0.144 0.000 0.023 (multiplicity 4)
Si1 0.023 0.000 0.591 (multiplicity 4)
Si2 0.043 0.500 0.683 (multiplicity 4)
Si3 0.050 0.500 0.016 (multiplicity 4)
Si4 0.096 0.500 0.860 (multiplicity 4)
I1 0.132 0.000 0.288 (multiplicity 4)
I2 0.200 0.500 0.573 (multiplicity 4)
I3 0.243 0.500 0.130 (multiplicity 4)

***

The following is a DFT calculation (GGA-PBE) of a relaxed structure of La3SiI3.

Cell: 12.704 12.704 12.704 Å, 90.00 90.00 90.00°
Space group I4_132 (No. 214)
Symmetry-distinct sites (fractional):
La1 0.109 0.359 0.125 (multiplicity 24)
Si1 0.125 0.125 0.125 (multiplicity 8)
I1 0.116 0.134 0.625 (multiplicity 24)

***

The following is a DFT calculation (GGA-PBE) of a relaxed structure of La5Sn3I.
~~~
Back to the entry:

I bought this book around 2018. By that time, I had been traveling the world solo for about two years. I said then, and I say now, 

Nothing makes you a better man than solo travel

My solo travel benefit, and yours too, is that solo travel makes you understand, and truly believe you can do anything on your own. I talked about this in the article: The Amazing Benefits of Traveling Alone

But there are limits.


So when I picked up this book, I wanted to see the downside of being so independent. And this book gives it in full color. 

In the book, and in real life, the kid died because he was alone and didn’t seek help. Moreover, he wasn’t strange or socially awkward. All the people in the book said he was normal. 

I obviously still travel the world solo, that’s why you’re reading these words on this blog. 

But I understand, everything must be taken in moderation.


Details About Into the Wild by Jon Krakauer

Into the Wild by Jon Krakauer is a non-fiction book that tells the story of Christopher McCandless, a young man who hiked into the wilderness of Alaska in 1992 with minimal gear and provisions and lived off the land for several months before eventually dying of starvation.

Krakauer interweaves McCandless’s story with his own experiences as a young man exploring the outdoors and his research into the factors that led to McCandless’s tragic end.


McCandless’s Affluent Family 

The book explores McCandless’s complicated relationships with his family and his desire to escape the materialism and conformity of modern society. McCandless was a gifted and talented young man, who came from an affluent family, but who felt a deep sense of disillusionment with the world around him.

Drawn to a Life of Freedom

He was drawn to the beauty and freedom of the wilderness, and embarked on a journey of self-discovery and self-sufficiency, with the goal of living off the land and forging his own path in life.

The book raises questions about the allure of wilderness and the dangers of romanticizing the natural world. It highlights the importance of preparation and self-sufficiency when venturing into the wild, and cautions against the dangers of recklessness and isolation.


Get the Book Here: Into the Wild by Jon Krakauer


What is Jon Krakauer’s Message in Into the Wild?

Jon Krakauer’s true story of Christopher McCandless provides us with important lessons about the dangers of recklessness, the importance of preparation and self-sufficiency, and the complexity of family dynamics. Moreover, it captures the allure of the natural world and the potential for self-discovery and fulfillment that lies within it.


The Dangers of Idealizing Solitude and Isolation

Into the Wild by Jon Krakauer highlights the dangers of romanticizing solitude and the belief that one can survive alone in the wilderness. McCandless, who took on the alias Alexander Supertramp, was inspired by the writings of writers such as Jack London and Henry David Thoreau, who celebrated the rugged individualism of the wilderness.

However, unlike these writers, McCandless did not have the experience or skills necessary to survive in the harsh Alaskan wilderness. His lack of preparation and disregard for safety ultimately led to his tragic end.

Respect Nature

While the idea of escaping from the pressures of society and finding solace in the natural world is a seductive one, it is important to recognize the realities and limitations of the wilderness. The natural world can be beautiful and awe-inspiring, but it is also unforgiving and indifferent to human suffering.

McCandless’s story reminds us that we must approach the wilderness with humility and respect, and recognize the importance of preparation and self-sufficiency.



The Importance of Preparation and Self-sufficiency

Into the Wild by Jon Krakauer emphasizes the importance of preparation and self-sufficiency when venturing into the wild. McCandless’s lack of survival skills and inadequate supplies contributed to his eventual demise. He had little experience in hunting and foraging, and his supplies were inadequate for the harsh Alaskan wilderness.

He was ill-prepared for the challenges of living off the land, and his idealistic approach to survival ultimately proved fatal.

The lesson here is clear: before embarking on any wilderness adventure, it is important to prepare adequately, learn survival skills, and bring the necessary supplies and equipment. It is also important to recognize one’s own limitations and to have a realistic understanding of what is required for survival in different environments.


The Search for Meaning and Identity in Into the Wild by Jon Krakauer

McCandless’s story speaks to a broader cultural trend of young people searching for meaning and identity, often through alternative lifestyles or through the exploration of nature. McCandless was not alone in his desire to escape from society and to live a more authentic life.

# These records of crystals were left in the page by mistake
=====
[1]
A relaxed structure of Na10Nb4Zn4Si7S5O48. Source: Materials Project, functional PBE.

Computed properties:
space-group type = P1
crystal system = triclinic
DFT formation energy = -2.441 eV/atom

Geometry as extended XYZ:
```
234
Lattice="18.053 -0.088 0.096 -4.551 7.888 0.010 0.124 0.101 22.441" Properties=species:S:1:pos:R:3 pbc="T T T"
Zn 4.694 2.590 4.187
Zn -0.086 5.474 0.384
Zn 4.740 7.841 19.162
Zn 13.771 2.494 4.190
Zn 0.037 0.191 7.873
Zn 13.707 2.795 15.455
Zn 0.144 5.129 11.649
Zn 8.993 5.368 0.428
Zn 9.035 0.152 7.935
Zn -4.315 7.874 19.082
Zn 9.163 5.079 11.692
Zn 4.589 2.905 15.409
O 0.781 6.837 1.822
O -0.861 6.550 5.764
O 14.506 3.971 3.228
O 10.802 0.095 7.055
O -1.829 5.498 10.582
O 6.188 7.888 20.566
O 5.430 4.057 16.806
O 10.742 5.106 19.387
O 9.818 6.595 1.878
O 10.217 6.545 16.993
O 3.539 1.228 11.914
O 16.562 0.206 2.116
O 1.664 5.618 5.716
O 7.406 5.142 1.836
O 13.130 1.231 20.820
O 10.748 0.249 13.204
O 0.857 6.695 10.753
O 6.189 2.502 11.884
O 12.515 4.218 14.478
O 3.678 6.619 20.551
O 10.898 5.335 22.084
O 7.598 5.562 17.015
O 12.078 2.866 9.640
O 5.347 0.863 3.212
O -0.693 3.589 21.849
O 3.995 6.318 13.191
O 9.966 3.657 1.801
O 2.765 2.456 0.704
O 9.529 3.546 10.627
O 9.916 1.393 9.319
O 8.183 3.977 13.071
O 9.886 6.647 10.803
O 6.148 7.642 4.399
O -0.766 6.907 13.009
O 15.162 2.483 5.620
O -0.721 1.706 20.376
O 0.889 1.434 9.273
O -3.489 6.704 15.600
O 14.172 1.125 9.629
O 8.358 3.646 21.838
O 17.205 1.207 13.338
O 7.322 4.988 8.222
O 10.077 3.893 8.080
O 16.342 0.171 18.140
O 8.148 6.504 5.826
O 3.636 3.939 20.786
O -3.525 6.392 9.145
O -0.561 6.901 19.259
O 5.523 6.648 15.672
O 0.640 6.828 8.097
O 5.162 1.179 9.588
O 14.175 0.786 3.353
O 5.637 3.920 9.486
O 3.054 2.904 9.587
O 15.259 2.449 11.858
O 6.119 2.492 5.559
O 3.750 6.217 6.890
O 8.428 1.441 4.432
O -0.823 4.022 13.002
O 12.739 6.581 20.584
O 1.689 5.096 19.364
O 0.506 3.598 10.572
O 12.881 4.175 12.049
O 12.734 3.916 20.810
O 11.966 7.736 9.377
O 2.690 2.706 3.154
O 1.070 1.320 1.920
O -0.478 3.837 5.735
O 8.541 3.776 5.774
O 6.276 2.992 20.703
O -0.954 3.967 19.429
O 1.757 5.332 22.016
O 12.486 6.395 4.468
O 1.731 0.312 13.158
O 1.162 6.604 16.932
O 3.041 2.454 16.659
O 0.946 3.716 1.818
O 7.204 5.450 10.634
O -2.898 7.697 4.382
O 10.105 1.224 2.004
O -1.171 6.623 21.832
O 12.659 4.178 5.558
O 12.596 1.318 5.594
O 8.263 6.861 13.069
O 10.115 1.404 18.156
O 2.942 7.779 9.339
O 9.665 6.772 8.148
O 14.123 6.363 2.121
O 1.841 0.200 7.015
O 7.352 0.186 18.083
O 0.707 3.899 17.020
O 7.388 0.241 2.007
O 5.533 1.187 0.779
O 16.986 1.423 7.078
O 10.854 5.160 13.065
O 3.753 1.030 14.355
O 6.346 2.714 14.558
O 5.086 6.439 2.091
O -1.534 5.030 1.758
O 14.308 6.153 18.310
O 12.568 1.179 11.977
O 8.287 1.654 20.448
O 14.532 1.045 16.792
O 9.703 1.591 15.572
O 12.046 2.496 16.707
O 10.697 5.567 5.763
O 5.338 6.175 18.332
O 14.649 3.888 9.527
O 1.154 1.550 18.229
O 1.744 0.126 20.476
O 7.916 1.474 7.054
O 8.037 3.885 19.408
O 3.851 4.248 11.945
O 2.822 7.724 15.660
=====

His story resonates with many people who feel disillusioned with the world around them, and who are searching for a deeper sense of purpose and meaning in their lives.

Self-awareness is Important

Unrelated to this entry: data records
- - -
(1)
Below is an optimized crystal structure of NaCa2V3Cu2O12, with properties calculated at the GGA+U level.

extended XYZ file:
```
80
Lattice="-6.2665 6.2665 6.2504 6.2665 -6.2665 6.2504 6.2665 6.2665 -6.2504" Properties=species:S:1:pos:R:3 pbc="T T T"
Na 6.2665 3.1332 -1.5626
Na 0.0000 3.1332 1.5626
Na 6.2665 3.1332 4.6878
Na 0.0000 3.1332 7.8130
Ca 3.1332 1.5856 0.0000
Ca 1.5476 0.0000 3.1252
Ca 7.8141 0.0000 3.1252
Ca 3.1332 -1.5856 6.2504
Ca 3.1332 7.8521 0.0000
Ca -1.5476 6.2665 3.1252
Ca 4.7189 6.2665 3.1252
Ca 3.1332 4.6808 6.2504
V 9.3997 1.5660 0.0000
V 6.2665 -3.1332 4.6878
V 4.6992 6.2665 -3.1252
V 4.6992 0.0000 3.1252
V 3.1332 4.7005 0.0000
V 6.2665 3.1332 1.5626
V 0.0000 3.1332 4.6878
V 3.1332 1.5660 6.2504
V 1.5673 6.2665 3.1252
V 1.5673 0.0000 9.3756
V 0.0000 9.3997 1.5626
V -3.1332 4.7005 6.2504
Cu 0.0000 0.0000 0.0000
Cu 3.1332 3.1332 -3.1252
Cu 3.1332 -3.1332 3.1252
Cu 6.2665 0.0000 0.0000
Cu -3.1332 3.1332 3.1252
Cu 0.0000 6.2665 0.0000
Cu 0.0000 0.0000 6.2504
Cu 3.1332 3.1332 3.1252
O 7.4916 3.8031 -3.6208
O 1.9401 -0.4402 0.6608
O 8.2066 0.4402 0.6608
O 7.4916 -2.4634 3.6208
O 9.8399 -1.1931 2.4644
O 5.7993 -0.6258 1.9334
O 0.6698 1.9081 -0.4956
O 8.7739 2.6660 -1.1918
O 3.7590 3.6004 -1.1918
O 5.5966 1.9081 0.4956
O -0.4672 0.6258 1.9334
O 3.5735 -1.1931 3.7860
O 3.5735 1.1931 2.4644
O 5.7993 5.6407 -1.9334
O 3.7590 -3.6004 7.4423
O 5.5966 -1.9081 5.7548
O 2.5074 3.6004 1.1918
O 6.9363 4.3583 0.4956
O 5.7993 0.6258 4.3170
O 3.5735 7.4596 -2.4644
O 7.4916 2.4634 2.6296
O 1.9401 5.8262 -0.6608
O 1.9401 0.4402 5.5896
O 1.2251 2.4634 3.6208
O 5.0414 3.8031 2.6296
O 4.3263 5.8262 0.6608
O 4.3263 0.4402 6.9113
O -1.2251 3.8031 3.6208
O 2.6930 -1.1931 8.7148
O 0.4672 5.6407 1.9334
O -0.6698 1.9081 5.7548
O 3.7590 2.6660 5.0586
O 0.6698 8.1746 0.4956
O 2.5074 9.8669 -1.1918
O 0.4672 0.6258 8.1838
O 2.6930 5.0734 3.7860
O 2.6930 7.4596 2.4644
O 6.7337 5.6407 4.3170
O 0.6698 4.3583 5.7548
O 2.5074 2.6660 7.4423
O -2.5074 3.6004 7.4423
O 5.5966 4.3583 6.7460
O 0.4672 6.8922 4.3170
O -3.5735 7.4596 3.7860
O -1.2251 8.7299 2.6296
O -1.9401 5.8262 5.5896
O 4.3263 6.7067 5.5896
O -1.2251 2.4634 9.8712
```

Values from the calculation:
Formation enthalpy at 0 K: -46.673 eV/f.u.

(2)
Below is an optimized crystal structure of Ca3Cu2NiP4O16, with properties calculated at the GGA+U level.

extended XYZ file:
```
52
Lattice="9.0168 0.0000 0.0000 0.0000 4.9432 0.0000 -1.1487 0.0000 14.8329" Properties=species:S:1:pos:R:3 pbc="T T T"
Ca 1.8927 0.0000 0.2261
Ca 1.3886 4.7688 11.1118
Ca 2.0375 4.5945 7.1854
Ca 5.8307 2.1229 7.6475
Ca 6.4795 2.2972 3.7211
Ca 5.9754 2.4716 14.6068
Cu 0.2663 2.1472 5.5084
Cu 1.9734 4.7669 3.7171
Cu 5.8947 2.2954 11.1159
Cu 7.6019 4.6188 9.3245
Ni 3.7241 2.4349 1.9024
Ni 4.1440 4.9065 12.9306
P 0.6710 2.2220 2.3227
P 0.4556 2.2028 8.7694
P 2.3280 2.3817 13.4715
P 3.2687 2.3540 5.1046
P 4.5994 4.8255 9.7284
P 5.5401 4.8533 1.3615
P 7.4125 4.6744 6.0635
P 7.1971 4.6936 12.5102
O -0.0607 1.8240 1.0419
- - -

The lesson here is that the search for meaning and identity is a complex and deeply personal journey. While the natural world can provide a sense of beauty and inspiration, it is important to approach this journey with a sense of balance and self-awareness.

We must recognize our own limitations and vulnerabilities, and seek out the help and support of others when needed. Moreover, it is important to recognize that there is no single path to self-discovery and fulfillment, and that each individual must find their own unique path.


The Complexity of Family Dynamics

The book also explores the complex and often fraught relationships within families, and how these relationships can contribute to a person’s desire to escape from society. McCandless’s relationship with his parents was troubled, and his desire to escape from their expectations and demands played a significant role in his decision to embark on his wilderness journey. He was seeking to forge his own path in life, free from the constraints and expectations of his parents and his upbringing.

The lesson here is that family dynamics can be complex and challenging, and that individuals may feel the need to escape from these dynamics in order to find their own sense of identity and purpose. However, it is important to recognize the role that family plays in our lives, and to seek out healthy ways of navigating these relationships. We must also recognize that our decisions and actions can have profound impacts on those around us, and that we must strive to find a balance between our own desires and the needs and expectations of those we care about.


The Allure of the Natural World

Finally, the book captures the allure of the natural world and the desire for a simpler, more authentic way of life, even as it cautions against the dangers of recklessness and isolation. McCandless was drawn to the beauty and freedom of the wilderness, and his story speaks to a broader cultural fascination with the natural world and its potential for self-discovery and fulfillment.

The lesson here is that the natural world can provide a sense of beauty, inspiration, and connection to something greater than ourselves. However, we must approach this world with humility and respect, recognizing that we are not the center of the universe and that our actions can have profound impacts on the ecosystems and communities around us. We must also recognize the importance of balance and self-awareness, and strive to find healthy and sustainable ways of engaging with the natural world.



Solo travel makes you know for certain that you can – do things on your own, create wonderful experiences out of nothing, and do whatever you want. But the story of Chris McCandless in Into the Wild by Jon Krakauer will make you think.

Grab the book here -> Into the Wild 



Author: Derron